[Contents]
=====
Density functional theory data (GGA+U) for KTmVF6 after structural relaxation.

abc: 8.085 7.722 7.917
angles: 119.19 120.70 90.00
Site moments in Bohr magnetons follow the coordinates.
Positions (direct):
F: 0.820 0.070 0.639  0.00
F: 0.817 0.089 0.265  0.00
F: 0.183 0.911 0.735  0.00
F: 0.553 0.911 0.735  0.00
F: 0.447 0.676 0.265  0.00
F: 0.817 0.676 0.265  0.00
F: 0.567 0.317 0.134  0.01
F: 0.180 0.930 0.361  0.00
F: 0.447 0.089 0.265  0.00
F: 0.183 0.324 0.735  0.00
F: 0.433 0.683 0.866  0.01
F: 0.553 0.324 0.735  0.00
K: 0.794 0.544 0.588  0.00
K: 0.206 0.456 0.412  0.00
Tm: 0.000 0.000 0.500  0.00
Tm: 0.500 0.000 0.500  0.00
V: 0.500 0.000 0.000  2.76
V: 0.500 0.500 0.000  2.76

Values from the calculation:
Final energy (eV per atom): -6.03

~~~~~

[1]
A plane-wave DFT calculation with PBE was carried out for an optimized crystal structure of Ta2AlZnTc.

Results
E_form   1200 meV/atom

Structure (POSCAR):
```
Ta2AlZnTc
1.0
4.716 0.000 0.000
0.000 4.215 0.000
0.000 0.000 4.716
Zn Ta Al Tc
1 2 1 1
Direct
0.000 0.000 0.000 Zn
0.500 0.000 0.000 Ta
0.000 0.000 0.500 Ta
0.000 0.500 0.000 Al
0.500 0.500 0.500 Tc
```

***

[2]
A plane-wave DFT calculation with PBE was carried out for an optimized crystal structure of TaAl2Te.

Results
Formation energy (no corrections)   0.138 eV/atom

Structure (POSCAR):
```
TaAl2Te
1.0
-4.625 -2.103 0.320
-3.710 -2.072 -2.803
1.547 -4.686 0.407
Ta Al Te
1 2 1
Direct
0.501 0.501 0.503 Ta
0.761 0.761 0.745 Al
0.006 0.006 0.973 Al
0.231 0.231 0.279 Te
```

***

[3]
A plane-wave DFT calculation with PBE was carried out for an optimized crystal structure of Ta2AlTe.

Results
Formation energy (no corrections)   0.235 eV/atom

Structure (POSCAR):
```
Ta2AlTe
1.0
9.342 0.033 0.020
8.818 3.084 0.019
8.818 1.514 2.687
Ta Al Te
2 1 1
Direct
0.000 0.000 0.000 Ta
0.500 0.500 0.500 Ta
0.750 0.750 0.750 Al
0.250 0.250 0.250 Te
```

***

[4]
A plane-wave DFT calculation with PBE was carried out for an optimized crystal structure of TaAl2Te.

Results
Formation energy (no corrections)   0.457 eV/atom

Structure (POSCAR):
```
TaAl2Te
1.0
-3.063 3.483 -1.105
-2.524 -0.237 -4.039
-4.696 -0.812 0.168
Ta Al Te
1 2 1
Direct
0.500 0.500 0.500 Ta
0.250 0.250 0.250 Al
0.000 0.000 0.000 Al
0.750 0.750 0.750 Te
```

***

[5]
A plane-wave DFT calculation with PBE was carried out for an optimized crystal structure of Ta2AlTe.

Results
Formation energy (no corrections)   0.354 eV/atom

Structure (POSCAR):
```
Ta2AlTe
1.0
-1.860 3.340 -1.377
-3.456 -2.096 -0.416
-5.220 3.011 8.358
Te Al Ta
2 2 4
Direct
0.750 0.250 0.500 Te
0.000 0.000 0.000 Te
0.250 0.750 0.500 Al
0.500 0.500 0.000 Al
0.611 0.125 0.250 Ta
0.875 0.861 0.750 Ta
0.139 0.625 0.250 Ta
0.375 0.389 0.750 Ta
```

***

[6]
A plane-wave DFT calculation with PBE was carried out for an optimized crystal structure of TaAlTe3.

Results
Formation energy (no corrections)   0.908 eV/atom

Structure (POSCAR):
```
TaAlTe3
1.0
5.194 0.000 0.000
0.000 5.194 0.000
0.000 0.000 5.194
Te Ta Al
3 1 1
Direct
0.500 0.000 0.000 Te
0.000 0.000 0.500 Te
0.000 0.500 0.000 Te
0.500 0.500 0.500 Ta
0.000 0.000 0.000 Al
```

***

[7]
A plane-wave DFT calculation with PBE was carried out for an optimized crystal structure of Ta2AlTe.

Results
Formation energy (no corrections)   0.269 eV/atom

Structure (POSCAR):
```
Ta2AlTe
1.0
4.373 0.000 0.000
0.000 3.070 -0.011
0.000 1.255 5.624
Al Ta Te
1 2 1
Direct
0.500 0.750 0.750 Al
0.000 0.485 0.513 Ta
0.000 0.015 0.987 Ta
0.500 0.250 0.250 Te
```

***

[8]
A plane-wave DFT calculation with PBE was carried out for an optimized crystal structure of Ta2AlTe.

Results
Formation energy (no corrections)   0.193 eV/atom

Structure (POSCAR):
```
Ta2AlTe
1.0
-1.241 2.496 1.186
0.402 -1.948 2.284
8.506 3.515 1.501
Ta Te Al
2 1 1
Direct
0.000 0.000 0.006 Ta
0.500 0.500 0.234 Ta
0.000 0.000 0.475 Te
0.500 0.500 0.786 Al
```

~~~~~

(1)
This record from Alexandria describes a geometry-optimized Y2SiRh structure. The functional is PBE.

space group: R-3m (166)
=====

[Wanted]
The reader should quote all of the lines further above without additions.

[Written answer]
Density functional theory data (GGA+U) for KTmVF6 after structural relaxation.

abc: 8.085 7.722 7.917
angles: 119.19 120.70 90.00
Site moments in Bohr magnetons follow the coordinates.
Positions (direct):
F: 0.820 0.070 0.639  0.00
F: 0.817 0.089 0.265  0.00
F: 0.183 0.911 0.735  0.00
F: 0.553 0.911 0.735  0.00
F: 0.447 0.676 0.265  0.00
F: 0.817 0.676 0.265  0.00
F: 0.567 0.317 0.134  0.01
F: 0.180 0.930 0.361  0.00
F: 0.447 0.089 0.265  0.00
F: 0.183 0.324 0.735  0.00
F: 0.433 0.683 0.866  0.01
F: 0.553 0.324 0.735  0.00
K: 0.794 0.544 0.588  0.00
K: 0.206 0.456 0.412  0.00
Tm: 0.000 0.000 0.500  0.00
Tm: 0.500 0.000 0.500  0.00
V: 0.500 0.000 0.000  2.76
V: 0.500 0.500 0.000  2.76

Values from the calculation:
Final energy (eV per atom): -6.03

~~~~~

[1]
A plane-wave DFT calculation with PBE was carried out for an optimized crystal structure of Ta2AlZnTc.

Results
E_form   1200 meV/atom

Structure (POSCAR):
```
Ta2AlZnTc
1.0
4.716 0.000 0.000
0.000 4.215 0.000
0.000 0.000 4.716
Zn Ta Al Tc
1 2 1 1
Direct
0.000 0.000 0.000 Zn
0.500 0.000 0.000 Ta
0.000 0.000 0.500 Ta
0.000 0.500 0.000 Al
0.500 0.500 0.500 Tc
```

***

[2]
A plane-wave DFT calculation with PBE was carried out for an optimized crystal structure of TaAl2Te.

Results
Formation energy (no corrections)   0.138 eV/atom

Structure (POSCAR):
```
TaAl2Te
1.0
-4.625 -2.103 0.320
-3.710 -2.072 -2.803
1.547 -4.686 0.407
Ta Al Te
1 2 1
Direct
0.501 0.501 0.503 Ta
0.761 0.761 0.745 Al
0.006 0.006 0.973 Al
0.231 0.231 0.279 Te
```

***

[3]
A plane-wave DFT calculation with PBE was carried out for an optimized crystal structure of Ta2AlTe.

Results
Formation energy (no corrections)   0.235 eV/atom

Structure (POSCAR):
```
Ta2AlTe
1.0
9.342 0.033 0.020
8.818 3.084 0.019
8.818 1.514 2.687
Ta Al Te
2 1 1
Direct
0.000 0.000 0.000 Ta
0.500 0.500 0.500 Ta
0.750 0.750 0.750 Al
0.250 0.250 0.250 Te
```

***

[4]
A plane-wave DFT calculation with PBE was carried out for an optimized crystal structure of TaAl2Te.

Results
Formation energy (no corrections)   0.457 eV/atom

Structure (POSCAR):
```
TaAl2Te
1.0
-3.063 3.483 -1.105
-2.524 -0.237 -4.039
-4.696 -0.812 0.168
Ta Al Te
1 2 1
Direct
0.500 0.500 0.500 Ta
0.250 0.250 0.250 Al
0.000 0.000 0.000 Al
0.750 0.750 0.750 Te
```

***

[5]
A plane-wave DFT calculation with PBE was carried out for an optimized crystal structure of Ta2AlTe.

Results
Formation energy (no corrections)   0.354 eV/atom

Structure (POSCAR):
```
Ta2AlTe
1.0
-1.860 3.340 -1.377
-3.456 -2.096 -0.416
-5.220 3.011 8.358
Te Al Ta
2 2 4
Direct
0.750 0.250 0.500 Te
0.000 0.000 0.000 Te
0.250 0.750 0.500 Al
0.500 0.500 0.000 Al
0.611 0.125 0.250 Ta
0.875 0.861 0.750 Ta
0.139 0.625 0.250 Ta
0.375 0.389 0.750 Ta
```

***

[6]
A plane-wave DFT calculation with PBE was carried out for an optimized crystal structure of TaAlTe3.

Results
Formation energy (no corrections)   0.908 eV/atom

Structure (POSCAR):
```
TaAlTe3
1.0
5.194 0.000 0.000
0.000 5.194 0.000
0.000 0.000 5.194
Te Ta Al
3 1 1
Direct
0.500 0.000 0.000 Te
0.000 0.000 0.500 Te
0.000 0.500 0.000 Te
0.500 0.500 0.500 Ta
0.000 0.000 0.000 Al
```

***

[7]
A plane-wave DFT calculation with PBE was carried out for an optimized crystal structure of Ta2AlTe.

Results
Formation energy (no corrections)   0.269 eV/atom

Structure (POSCAR):
```
Ta2AlTe
1.0
4.373 0.000 0.000
0.000 3.070 -0.011
0.000 1.255 5.624
Al Ta Te
1 2 1
Direct
0.500 0.750 0.750 Al
0.000 0.485 0.513 Ta
0.000 0.015 0.987 Ta
0.500 0.250 0.250 Te
```

***

[8]
A plane-wave DFT calculation with PBE was carried out for an optimized crystal structure of Ta2AlTe.

Results
Formation energy (no corrections)   0.193 eV/atom

Structure (POSCAR):
```
Ta2AlTe
1.0
-1.241 2.496 1.186
0.402 -1.948 2.284
8.506 3.515 1.501
Ta Te Al
2 1 1
Direct
0.000 0.000 0.006 Ta
0.500 0.500 0.234 Ta
0.000 0.000 0.475 Te
0.500 0.500 0.786 Al
```

~~~~~

(1)
This record from Alexandria describes a geometry-optimized Y2SiRh structure. The functional is PBE.

space group: R-3m (166)